The following is a DFT calculation (PBEsol) of crystalline RbIn2GaSn at its relaxed geometry.

Cell lengths 5.2953, 5.2953, 5.8179 Å; angles 90.00, 90.00, 90.00 degrees
Fractional positions:
Rb  0.0000  0.0000  0.5000
In  0.0000  0.5000  0.0000
In  0.5000  0.0000  0.0000
Sn  0.5000  0.5000  0.5000
Ga  0.0000  0.0000  0.0000

Properties
Fermi-level density of states = 3.72 states/eV/cell
space group = P4/mmm, No. 123
ΔH_f (0 K) = 1.90 eV per formula unit


! PBE YCuBr, relaxed; values from VASP
! Total energy   -4.334 eV/atom
! Space group   F-43m (216)
! Total magnetic moment   0.5 μB/cell
&SYSTEM
  ibrav = 0, nat = 3, ntyp = 3
/
ATOMIC_SPECIES
Cu 63.55 Cu.upf
Y 88.91 Y.upf
Br 79.90 Br.upf
CELL_PARAMETERS angstrom
4.821 0.000 0.000
2.410 4.175 0.000
2.410 1.392 3.936
ATOMIC_POSITIONS crystal
Cu 0.500 0.500 0.500
Y 0.750 0.750 0.750
Br 0.000 0.000 0.000


Model 1:
Here is a relaxed structure of Rb2CO from Alexandria via LeMat-Bulk. Energies are from PBE.

Values from the calculation:
ρ = 2.97 g/cm³

Unit cell a=8.2437 b=8.2437 c=8.2437 alpha=92.47 beta=92.47 gamma=156.04
With the nearest neighbours (Å) after each atom.
Positions (direct):
Rb (0.3750, 0.1290, 0.2540)  2 O 2.88, 2 C 3.13
Rb (0.8710, 0.1250, 0.2460)  2 O 2.88, 2 C 3.13
Rb (0.8750, 0.1210, 0.7460)  2 O 2.88, 2 C 3.13
Rb (0.8790, 0.6250, 0.7540)  2 O 2.88, 2 C 3.13
C (0.2500, 0.7500, 0.5000)  2 O 1.71
C (0.5000, 0.5000, 0.0000)  2 O 1.71
O (0.0000, 0.0000, 0.0000)  2 C 1.71
O (0.7500, 0.2500, 0.5000)  2 C 1.71

Model 2:
Here is a relaxed structure of Rb2CO from Alexandria via LeMat-Bulk. Energies are from PBE.

Values from the calculation:
ρ = 3.41 g/cm³

Unit cell a=5.1570 b=5.1570 c=5.1570 alpha=60.00 beta=60.00 gamma=60.00
With the nearest neighbours (Å) after each atom.
Positions (direct):
Rb (0.2500, 0.2500, 0.2500)  4 O 3.16, 4 C 3.16
Rb (0.7500, 0.7500, 0.7500)  4 O 3.16, 4 C 3.16
C (0.0000, 0.0000, 0.0000)  8 Rb 3.16
O (0.5000, 0.5000, 0.5000)  8 Rb 3.16

Q: What are the energies relative to the best structure? A: model 1 0.0; model 2 23.6, in kJ/mol of atoms.
The reader should write out only the last part of the material further up, starting with the line that has "Model 1:".
Model 1:
Here is a relaxed structure of Rb2CO from Alexandria via LeMat-Bulk. Energies are from PBE.

Values from the calculation:
ρ = 2.97 g/cm³

Unit cell a=8.2437 b=8.2437 c=8.2437 alpha=92.47 beta=92.47 gamma=156.04
With the nearest neighbours (Å) after each atom.
Positions (direct):
Rb (0.3750, 0.1290, 0.2540)  2 O 2.88, 2 C 3.13
Rb (0.8710, 0.1250, 0.2460)  2 O 2.88, 2 C 3.13
Rb (0.8750, 0.1210, 0.7460)  2 O 2.88, 2 C 3.13
Rb (0.8790, 0.6250, 0.7540)  2 O 2.88, 2 C 3.13
C (0.2500, 0.7500, 0.5000)  2 O 1.71
C (0.5000, 0.5000, 0.0000)  2 O 1.71
O (0.0000, 0.0000, 0.0000)  2 C 1.71
O (0.7500, 0.2500, 0.5000)  2 C 1.71

Model 2:
Here is a relaxed structure of Rb2CO from Alexandria via LeMat-Bulk. Energies are from PBE.

Values from the calculation:
ρ = 3.41 g/cm³

Unit cell a=5.1570 b=5.1570 c=5.1570 alpha=60.00 beta=60.00 gamma=60.00
With the nearest neighbours (Å) after each atom.
Positions (direct):
Rb (0.2500, 0.2500, 0.2500)  4 O 3.16, 4 C 3.16
Rb (0.7500, 0.7500, 0.7500)  4 O 3.16, 4 C 3.16
C (0.0000, 0.0000, 0.0000)  8 Rb 3.16
O (0.5000, 0.5000, 0.5000)  8 Rb 3.16

Q: What are the energies relative to the best structure? A: model 1 0.0; model 2 23.6, in kJ/mol of atoms.